Ilya Ehrenburg

Thanks, pdf27!!!

I read about the ominous leaflet too lately. There is indeed no evidence for its existence.
After all one has to ask himself, was it necessary to mention Ehrenburg anyway in the late war stage after all what happened e. g. at Nemmersdorf?

Both Fisch and Tischler are communists in disguise.:wink:

Egorka, I will have to go to the hospital by tomorrow morning for some ankle surgery. Let’s discuss this matter further when I am back. I’ll let you know!

Well, apparently it was necessary for Goebbels to mention Ehrenburg. In a way it was one of Ehrenbug’s aim to scary the German public and he succeeded. I would not call this intention of his outright despicable - war is war.

Nemmersdorf is an interesting subject. Please tell what in your opinion is most realistic description of events there.

Both Fisch and Tischler are communists in disguise.:wink:

********
The following is a PBE calculation of crystalline Ca2Sn2F3 at its relaxed geometry, from the Materials Project database.

The structure in POSCAR format:
```
Ca2Sn2F3
1.0
3.8201 6.8794 0.0000
-3.8201 6.8794 0.0000
0.0000 0.6195 6.5065
Sn Ca F
4 4 6
Direct
0.0951 0.0951 0.2266 Sn
0.5679 0.5679 0.1453 Sn
0.8057 0.4171 0.5228 Sn
0.4171 0.8057 0.5228 Sn
0.3533 0.3533 0.5005 Ca
0.8665 0.8665 0.4006 Ca
0.5254 0.0352 0.9772 Ca
0.0352 0.5254 0.9772 Ca
0.3368 0.3368 0.8449 F
0.5627 0.1561 0.2553 F
0.8285 0.8285 0.0680 F
0.1561 0.5627 0.2553 F
0.6399 0.0418 0.6519 F
0.0418 0.6399 0.6519 F
```

Properties
**Electronic total energy**: -68.015 eV per cell
**Total magnetic moment**: 0.00 μB/cell

=====

The following is a PBE calculation of crystalline KF3 at its relaxed geometry, from the Materials Project database.

The structure in POSCAR format:
```
KF3
1.0
7.3712 0.0000 0.0000
0.0000 7.5965 0.0000
0.0000 0.0000 9.8979
F K
24 8
Direct
0.7893 0.6932 0.6243 F
0.2316 0.0618 0.3716 F
0.7662 0.9668 0.0097 F
0.7684 0.5618 0.1284 F
0.9608 0.2967 0.8895 F
0.2346 0.4633 0.6894 F
0.7316 0.4382 0.6284 F
0.0392 0.7967 0.6105 F
0.4608 0.2033 0.1105 F
0.0069 0.3787 0.4054 F
0.7654 0.9633 0.8106 F
0.2107 0.1932 0.8757 F
0.5069 0.1213 0.5946 F
0.4931 0.6213 0.9054 F
0.2338 0.4668 0.4903 F
0.2662 0.5332 0.9903 F
0.2684 0.9382 0.8716 F
0.7107 0.3068 0.1243 F
0.2893 0.8068 0.3757 F
0.2654 0.5367 0.1894 F
0.5392 0.7033 0.3895 F
0.7338 0.0332 0.5097 F
0.7346 0.0367 0.3106 F
0.9931 0.8787 0.0946 F
0.0716 0.2269 0.1475 K
0.5716 0.2731 0.8525 K
0.4284 0.7731 0.6475 K
0.0321 0.1742 0.6294 K
0.9284 0.7269 0.3525 K
0.9679 0.6742 0.8706 K
0.5321 0.3258 0.3706 K
0.4679 0.8258 0.1294 K
```

Properties
**Electronic total energy**: -96.333 eV per cell
**Total magnetic moment**: 16.00 μB/cell

=====

Q: Number 2 is which compound?
A: KF3


[1]
Below is YMg after structural relaxation, with properties calculated at the PBE level.

Cell lengths 3.4170, 3.4170, 11.2418 Å; angles 90.00, 90.00, 120.00 degrees
Closest atoms and distances in Å follow each position.
Atoms (fractional coordinates):
Y: 0.3333 0.6667 0.1291  9 Y 3.42-3.51, 3 Mg 3.46
Y: 0.6667 0.3333 0.8709  9 Y 3.42-3.51, 3 Mg 3.46
Mg: 0.3333 0.6667 0.6180  9 Mg 3.31-3.42, 3 Y 3.46
Mg: 0.6667 0.3333 0.3820  9 Mg 3.31-3.42, 3 Y 3.46

## Properties
E_tot   -15.96 eV per cell
SG   No. 164
Formation energy   44 meV per atom

---

[2]
Below is Ce5Ge2Ir after structural relaxation, with properties calculated at the PBE level.

Cell lengths 11.8841, 8.7032, 7.9911 Å; angles 90.00, 90.00, 90.00 degrees
Closest atoms and distances in Å follow each position.
Atoms (fractional coordinates):
Ce: 0.9995 0.2500 0.0372  4 Ge 3.04-3.05, 1 Ir 3.09
Ce: 0.0005 0.7500 0.9628  4 Ge 3.04-3.05, 1 Ir 3.09
Ce: 0.0751 0.0416 0.6914  2 Ir 2.79-3.01
Ce: 0.0751 0.4584 0.6914  2 Ir 2.79-3.01
Ce: 0.2055 0.7500 0.3502  1 Ir 2.88, 4 Ge 3.13-3.18
Ce: 0.2174 0.2500 0.3283  1 Ir 2.89, 4 Ge 3.10-3.14
Ce: 0.2826 0.7500 0.8283  1 Ir 2.89, 4 Ge 3.10-3.14
********
(So much for the calculated crystals)

Does it make any difference in regards of them citating Munchen Institute of Modern History. Well I do not care if they are communists. I would not care even if they were nazist as far as they do not bland their political preferences in their work.

Egorka, I will have to go to the hospital by tomorrow morning for some ankle surgery. Let’s discuss this matter further when I am back. I’ll let you know!

Good luck! Get well!

Firstly, Igor, thanx for the get-well wishes, I returned much earlier as expected, thanks to modern medicine.

Well, the facts first. Nemmersdorf in East Prussia was conquered by the Red Army on October 21, 1944 (2nd Battalion/25th Guard Tank Brigade). After heavy fightings the village was re-captured by the Wehrmacht.
Here we have already two different versions: eyewitnesses report Nemmersdorf was re-taken the same day, only a couple of hours later. Official reports say german 5th Panzer-Division took the village two days later on October 23.
What happened exactly we will never know. Fact is that
a) the russian soldiers killed between 23 and 65 german civilians (women, kids and old people) as well as some french POWs
b) the Nazi leadership exploited the incident to stiffen the resistance against the advancing Red Army.
It was reported of mass rapes, mass killings, crucified women on barn doors etc. Other (german) sources say there weren’t any rapes at all. Goebbels’ employees lifted skirts and lowered underwear of the dead women.
B. Fisch’s version of disguised germans in russian uniforms to commit the massacre is an insolence though IMHO.

But do you even know pdf, that Ilia Erenburg was a JEW.
And as any Jew probably can’t be loyal to the Germans who like the Nicis jew-hate matter at that time.
Yes he wrote a anti-germans articles in Pravda, but this was happend AFTER the mass- murdering of Jews in Kiev, Odessa and ets.

Mate i think this is not so importaint what Erenberd said after the war.
He was a SPOKESMAN of Anti-Germans propogand in USSR.He was in head of propogand.
This is FACT.

But who have to blame him?
Germans , who despised and hate all the Jews during the ww2?
What did they hope on?
The Soviet Jew Erenburg will share the “Love and peace” toward the GErmans?
This is senseless question, right.
For god sake.
Why have you to defend Erenburg mate.
He was as much “russian” as you or me the “Mongol’s looking boslcshevics” from Goebbels posters:)

Uh… Ehrenburg was French, rather than Soviet - at least by extraction.

No, he was born in Kiev. In jewish family.

[i]Ehrenburg was a revolutionary as a teenager, a disenchanted poet in his youth, writing Catholic poems despite his Jewish background, a follower of Lenin on arrival in Paris, who then became an anti-Bolshevik and sensitive journalist.

Later he returned to Russia where he was hired to write Soviet propaganda, while occasionally defending his views with boldness against Stalin or government mouthpieces. He a was prominent member of the Jewish Anti-Fascist Committee.[/i]

He was a prominent bright writer, , although since the 1945 in soviet press his “fierce ani-germanism” has been seriously critized and attacked.

Reply is here:

Just an impression from modern Germany: the “Ilja-Ehrenburg-Straße” in Rostock/North-Eastern Germany.
The road sign gets overpainted from time to time.